"It was only when I realized that there was more to me than my past, my mistakes, and my faults that there was room made for my higher self."

John St.AugustineAuthor, audio Talk Show Host


"It was only when i realized that there was more to me than my past, my mistakes,and my faults that there was room made for my higher self."

John St.AugustineAuthor, audio Talk Show Host

His book, Living An Uncommon Life, was given to me by A Next Level Member and dear friend. It tells of a man's journey for greatness and purpose in life. In this particular chapter, he mets Oprah Winfrey by accident (if there is such a thing). He is seated at a table, and Oprah sits next to him. He then gets paired up with Stedman due to someone else not showing up to play golf. Then some other guy makes the off the cuff comment, "you should have a talk show" at the dinner and 4 years later he is all over the radio and featured on the Oprah and Friends channel on xm radio!

The reason I tell that much of his story is because it explains some things about getting ourselves out of the way and allowing. Let's look at, "when I realized that there was more to me than my past...." We have all heard that our past is our past, but I have found it very difficult for me and most people that I work with to allow it to stay there. Picture this. if we want to focus our intentions on the present, live in the present and get results for the present, we will need to release ourselves of spending time in the past. It is ok to reflect and learn from, but when it takes us from today, we have to release it!

One step at a time....

reply with one thing in your past that you will let go of today. The more the better, but pick at least one thing, and write it on a piece of paper, crumple it up and throw it away. If you have a shredder or a fireplace even better.

Then whenever this comes up, make a point of reflecting on the moment you through that "past" away.


"It was only when I realized that there was more to me than my past, my mistakes,and my faults that there was room made for my higher self."

John St.AugustineAuthor, audio Talk Show Host

Wow did this strike a cord with many? So many people shared how they feel they have been standing in their own way by letting their past effect the present. Now let's look at mistakes. Raise your hand if you have not made a mistake. I don't even have to be present to see if you raised your hand, because I already know the answer. We all recognize that we all make mistakes. The fact is that most of us are more forgiving of others mistakes than we are of our own. Ouch!

In the pursuit of our greatness, it is imperative that we allow ourselves the opportunity to make mistakes. Did you catch that I called it an opportunity. The reason is that unless we are willing to accept that we might make a mistake or two (two thousand) we will be unwilling to push ourselves towards new boundaries.

One step at a time....

Respond with a letter to yourself acknowledging a mistake that you have made and then forgive yourself as well as be thankful to be in a such a place that you can stand tall and know that a lesson has been learned and a price has been paid in advance for your future success!


"It was only when I realized that there was more to me than my past, my mistakes,and my faults that there was room made for my higher self."

John St.AugustineAuthor, audio Talk Show Host

Many have shared some incredible experiences in doing this exercise . If you are not doing the exercise , I encourage you to take action and do it. C'mon play full out and get the most of your Next Level Experience.

FAULTS...we all have them. Do you think that anyone (other than yourself) expects you to be perfect and without fault? Unlikely. Faults sometimes go undetected. Did you know that the geologists are always uncovering different faults because they have gone undetected? Same way with us. But be sure to know that if you look for faults you will find them. I don't think we should spend time looking for faults, ours or anyone else's. But when they are realized, we should seek to understand the magnitude of them and the seek to fortify the structures (our lives) that exist around them

It is important to understand that we have faults and teat they are a marvelous part of who we are. Did you hear the word Marvelous in the same sentence as faults. Yes, I believe that they represent that we are a human beings and not simply a programmable robot. I also believe that some faults are there to keep us in check and that some even serve to remind us to keep growing. I have just listed three things that faults do for us. Faults do not cripple us if we acknowledge them, understand them and then seek out others who can help us to overcome and or compensate for them.
Bill Gates (while being very smart) has said that he does not have to be the most brilliant person on the planet, because he is willing to surround himself with brilliant people. So who are you allowing to be around you and help you make up for some of your faults.

One step at a time....

Determine a fault that you have. o ahead write it down.

Think of someone that you know or have heard of that does not appear to have the same fault

Either get information on their background if you don't know them, or if you have access to them, invite them for coffee or a meal and ask how they got to the place where the fault is not showing.


"It was only when I realized that there was more to me than my past, my mistakes,and my faults that there was room made for my higher self."

John St.AugustineAuthor, audio Talk Show Host

Unrelated to this entry: calculated crystals
~~~
Record 1
Calculated XRD peak list of U2PaPt2S6 for Cu Kα, 1.54184 Å, from DFT lattice parameters and positions (PBE).
Kinematic intensities with the Lorentz-polarization factor, no thermal factor.

Cell and atoms:
Lattice parameters (Å, degrees): 7.053 7.053 5.771 90.00 90.00 120.00
Atoms (fractional coordinates):
U: 0.333 0.667 0.418
U: 0.667 0.333 0.582
Pa: 0.000 0.000 0.500
Pt: 0.333 0.667 0.947
Pt: 0.667 0.333 0.053
S: 0.039 0.347 0.733
S: 0.308 0.961 0.733
S: 0.347 0.308 0.267
S: 0.653 0.692 0.733
S: 0.692 0.039 0.267
S: 0.961 0.653 0.267

Largest 10 diffraction maxima, by angle, 5° ≤ 2θ ≤ 70°:
2theta  I_rel
14.5  14
21.2  16
25.3  100
34.4  29
40.4  46
43.1  16
44.5  37
50.6  21
51.9  16
61.6  13



Record 2
Calculated XRD peak list of La7Sn2Pd2 for Cu Kα, 1.54184 Å, from DFT lattice parameters and positions (PBE).
Kinematic intensities with the Lorentz-polarization factor, no thermal factor.

Cell and atoms:
Lattice parameters (Å, degrees): 7.260 7.260 7.198 90.06 90.06 71.65
Atoms (fractional coordinates):
La: 0.000 0.000 0.000
La: 0.000 0.500 0.270
La: 0.000 0.500 0.730
La: 0.500 0.000 0.270
La: 0.500 0.000 0.730
La: 0.500 0.500 0.234
La: 0.500 0.500 0.766
Sn: 0.173 0.827 0.500
Sn: 0.827 0.173 0.500
Pd: 0.274 0.274 0.000
Pd: 0.726 0.726 0.000

Largest 10 diffraction maxima, by angle, 5° ≤ 2θ ≤ 70°:
2theta  I_rel
24.3  48
25.9  44
28.0  47
30.4  74
32.6  26
35.5  39
36.1  100
39.3  27
53.2  22
57.8  25



Record 3
Calculated XRD peak list of Y2Sc2S3 for Cu Kα, 1.54184 Å, from DFT lattice parameters and positions (PBE).
Kinematic intensities with the Lorentz-polarization factor, no thermal factor.

Cell and atoms:
Lattice parameters (Å, degrees): 6.702 6.702 9.090 129.94 129.94 31.88
Atoms (fractional coordinates):
Y: 0.073 0.073 0.362
Y: 0.927 0.927 0.638
Sc: 0.254 0.254 0.158
Sc: 0.746 0.746 0.842
S: 0.331 0.331 0.747
S: 0.500 0.500 0.500
S: 0.669 0.669 0.253

Largest 10 diffraction maxima, by angle, 5° ≤ 2θ ≤ 70°:
2theta  I_rel
13.1  39
29.1  53
30.5  12
31.9  19
33.0  100
42.3  29
45.0  18
46.7  31
49.5  15
58.5  13



Record 4
Calculated XRD peak list of Ac4LaTm for Cu Kα, 1.54184 Å, from DFT lattice parameters and positions (PBE).
Kinematic intensities with the Lorentz-polarization factor, no thermal factor.

Cell and atoms:
Lattice parameters (Å, degrees): 3.739 6.216 10.670 90.00 90.00 90.00
Atoms (fractional coordinates):
Ac: 0.000 0.000 0.165
Ac: 0.000 0.000 0.835
Ac: 0.000 0.500 0.330
Ac: 0.000 0.500 0.670
La: 0.500 0.000 0.500
Tm: 0.500 0.500 0.000

Largest 10 diffraction maxima, by angle, 5° ≤ 2θ ≤ 70°:
2theta  I_rel
23.8  16
28.7  44
28.9  86
29.1  100
37.8  20
41.4  27
51.0  18
51.4  22
51.5  15
57.6  26



Record 5
Calculated XRD peak list of Zn3Ga12Ag for Cu Kα, 1.54184 Å, from DFT lattice parameters and positions (PBE).
Kinematic intensities with the Lorentz-polarization factor, no thermal factor.

Cell and atoms:
Lattice parameters (Å, degrees): 4.998 4.998 12.023 92.95 92.95 105.53
Atoms (fractional coordinates):
~~~
The calculated crystals stop here

Yesterday we had a powerful meeting. (See attached link for full presentation) Incredible discussion both from in studio and online audiences.

Let's discuss making room. Recently my garage became so over packed that it was becoming more and more difficult for the car to be pulled in. The logical solution...make room for the car. But how.? How do we decided what stays and what has to go? What is in it's right place and what needs to be stored above, on a shelf or in a close, etc.?

Our lives can be that way as well. Sometimes what we have allowed to clutter up our minds, thoughts, and beliefs about ourselves, others and life in general needs to be sorted through, and a decision must be made as to whether it is in the right place in our lives, or if it even has a place in our lives and should be thrown away!

We all have "junk" in our lives that will stop us from being the people we were designed to be if we don't take time to make room for the life we are desiring. Like I always say "I have found that mos people are trying to live a 24 ounce life in a 12 ounce glass."

One step at a time....

write down /reply with what junk is getting in the way of you living the life you want to live and were designed to live.
Prioritize each item with the following:
1- need to keep as a memory or for learning sake, but not so much to revisit
2- make room for better things by getting rid of these items

Now acknowledge and write the following statement and carry it with you until Monday reviewing it as often as possible...

I am no longer bound by my past. I am released to live my life by design rather than by infliction. The life I now lead is one that is being created today and is not confined by my past, my successes or my mistakes. Not by the good events or the bad events. I commit to living today for all of it's worth for the betterment of myself and those that I love!


"It was only when I realized that there was more to me than my past, my mistakes,and my faults that there was room made for my higher self."

John St.AugustineAuthor, audio Talk Show Host

HIGHER SELF! Hmmm. What is your higher self? I believe that our higher self is the person that we were designed to be rather then the person that has been created by infliction.

In the making room exercise many have said how freeing it was and have shared how the letting go has already begun to allow room for better things in their lives. So, now that room has been made, how do we attain our higher self? I believe that since it was by design that we have an incredible life, we must start to "act as if". This is the first step towards making this a reality. We need to stat to believe in ourselves by positioning ourselves for opportunities of stretching . We need to realize that the life we are desiring is available, even if we can't see it.

One Step At A Time

pick something from the room you are in. Maybe your computer, your pen, your desk, etc. Now walk out of the room and into another.

Ask yourself..."does that object (desk, pen, computer) still exist even though I can no longer see it?" The answer is of course it does. Your life by design is the same way, it is there, you may have just moved yourself to be out of line of sight! Start moving by believing that what you are wanting is real and is there, it just may be out of sight until you round the corner. Go ahead believe...and round the corner...The first step is always the hardest!

Now acknowledge and write the following statement and carry it with you until Monday reviewing it as often as possible...

I am no longer bound by my past. I am released to live my life by design rather than by infliction. The life I now lead is one that is being created today and is not confined by my past, my successes or my mistakes. Not by the good events or the bad events. I commit to living today for all of it's worth for the betterment of myself and those that I love!

Author's Bio: 

Bob Donnell, Next Level 4 Success

“Most people are trying to live a 24-ounce life in a 12-ounce glass.” -Bob Donnell

Bob founded and operates Next Level 4 Success, a training facility in Temecula geared toward helping people better their professional and personal lives. He was the host of a weekly 30-minute radio show, Motivation To Live By and now broadcasts weekly to members and guests worldwide weekly, with online video and chat conferencing. He is the founder of the Next Level Center in Temecula and uses it to broadcast live events as well as to hold seminars, meetings and workshops while also giving a platform for speakers, authors an strategic partners to reach an audience of people looking to expand both their personal and business development!

Bob has spent nearly 20 years studying successful people from all walks of life and various industries. His passion for learning and for helping others to learn has given him a unique advantage and position to help others take action whereby changing the results that they are getting. Bob’s programs are designed to encourage, motivate and challenge people to implement the knowledge which they receive in order to get greater results. From real estate to construction, entertainment to athletics, Bob has helped individuals and companies achieve more and get the results they desire.

His ability to communicate with energy, passion and conviction is whatkeeps companies and individuals inviting him to share.

PersonalBob knows loss and is able to relate them to his motivational speaking engagements. Bob lost his mother while he was in High School and, since he never knew his father, was on his own at an early age. He lost his three year old daughter in a car accident and was there to provide CPR until the paramedics arrived. Three of her organs went to people who are alive today because of her tremendous sacrifice. Bob lives with his children and fiancée, Wendy in the Temecula Valley.

Studying Successful People
Bob has worked with the entertainment industry and has had the privilege of
being exposed to such artists as: Garth Brooks, The Backstreet Boys, Reba
McIntyre, Will Smith and working with the Academy Awards, WB Music
Awards, Victor Awards and The Grammy's just to name a few. It was during these studies & encounters that he was able to investigate and develop a game plan for success both in business and in life.

In the 80’s, after high school, Bob founded a non-profit program working with challenging adolescence. The program’s board of directors was comprised of psychologists, psychiatrists, police officers and parents. At that time, Bob was called into public schools to work with kids who were facing tough situations academically and at home.

Bob founded a promotional venture and provided services for major events and private parties. He worked with companies such as Budweiser, Golden State Foods, Oakley, Long Beach Grand Prix, The Pond of Anaheim, Miller Genuine, California Speedway and many others.